Sister Irene Sullivan, MM
Born: May 5, 1901
Entered: September 24, 1924
# Here the article breaks off for crystal structures
=====
1.
The following is a GGA-PBE calculation of an optimized crystal structure of CsSr2Cd2, from Alexandria via LeMat-Bulk.

Structure (CIF):
```
data_CsSr2Cd2
_chemical_formula_sum 'Cs1 Sr2 Cd2'
_cell_length_a 7.9180
_cell_length_b 7.9180
_cell_length_c 7.9180
_cell_angle_alpha 132.92
_cell_angle_beta 132.92
_cell_angle_gamma 68.78
_symmetry_space_group_name_H-M 'P 1'
_symmetry_Int_Tables_number 1
loop_
_symmetry_equiv_pos_as_xyz
'x,y,z'
loop_
_atom_site_label
_atom_site_fract_x
_atom_site_fract_y
_atom_site_fract_z
Cs1 0.0000 0.0000 0.0000
Sr1 0.3388 0.3388 0.0000
Sr2 0.6612 0.6612 0.0000
Cd1 0.2500 0.7500 0.5000
Cd2 0.7500 0.2500 0.5000
```

The formation energy from the elements comes out at 0.031 eV per atom. The space-group type is I4/mmm. Its crystal system is tetragonal. For the relative energy among the computed polymorphs, the calculation gives 139 meV/atom.

2.
The following is a GGA-PBE calculation of an optimized crystal structure of ScHgSbTe2, from Alexandria via LeMat-Bulk.

Structure (CIF):
```
data_ScHgSbTe2
_chemical_formula_sum 'Sc1 Hg1 Sb1 Te2'
_cell_length_a 5.5447
_cell_length_b 5.5447
_cell_length_c 5.4952
_cell_angle_alpha 90.00
_cell_angle_beta 90.00
_cell_angle_gamma 90.00
_symmetry_space_group_name_H-M 'P 1'
_symmetry_Int_Tables_number 1
loop_
_symmetry_equiv_pos_as_xyz
'x,y,z'
loop_
_atom_site_label
_atom_site_fract_x
_atom_site_fract_y
_atom_site_fract_z
Sc1 0.0000 0.0000 0.0000
Hg1 0.5000 0.5000 0.5000
Sb1 0.5000 0.5000 0.0000
Te1 0.0000 0.5000 0.5000
Te2 0.5000 0.0000 0.5000
```

The space-group type is P4/mmm. Its crystal system is tetragonal. For the relative energy among the computed polymorphs, the calculation gives 576 meV/atom.

3.
The following is a GGA-PBE calculation of an optimized crystal structure of CsTl2Cd2, from Alexandria via LeMat-Bulk.

Structure (CIF):
```
data_CsTl2Cd2
_chemical_formula_sum 'Cs2 Tl4 Cd4'
_cell_length_a 10.7178
_cell_length_b 10.7178
_cell_length_c 10.7178
_cell_angle_alpha 125.80
_cell_angle_beta 59.14
_cell_angle_gamma 158.13
_symmetry_space_group_name_H-M 'P 1'
_symmetry_Int_Tables_number 1
loop_
_symmetry_equiv_pos_as_xyz
'x,y,z'
loop_
_atom_site_label
_atom_site_fract_x
_atom_site_fract_y
_atom_site_fract_z
Cs1 0.4940 0.2440 0.2500
Cs2 0.5060 0.7560 0.7500
Tl1 0.3307 0.0000 0.8307
Tl2 0.3307 0.5000 0.3307
Tl3 0.6693 0.0000 0.1693
Tl4 0.6693 0.5000 0.6693
Cd1 0.1882 0.2503 0.9379
Cd2 0.1876 0.7497 0.4379
Cd3 0.8124 0.2503 0.5621
Cd4 0.8118 0.7497 0.0621
```

The formation energy from the elements comes out at -0.026 eV per atom. The space-group type is Imma. Its crystal system is orthorhombic. For the relative energy among the computed polymorphs, the calculation gives 34 meV/atom.

4.
The following is a GGA-PBE calculation of an optimized crystal structure of HgBrO2, from Alexandria via LeMat-Bulk.

Structure (CIF):
```
data_HgBrO2
_chemical_formula_sum 'Hg1 Br1 O2'
_cell_length_a 7.2296
_cell_length_b 7.2296
_cell_length_c 7.2296
_cell_angle_alpha 27.38
_cell_angle_beta 27.38
=====
Died: May 26, 1974
### Materials data that have nothing to do with the text
~~~
Density functional theory data (PBE) for a relaxed AgPd3Pb2 crystal.

Cell: 5.729 7.381 17.563 Å, 90.00 90.00 141.05°
Fractional positions:
Pd (0.307, 0.750, 0.119)
Pd (0.703, 0.250, 0.547)
Pd (0.193, 0.250, 0.619)
Pd (0.193, 0.250, 0.280)
Pd (0.807, 0.750, 0.381)
Pd (0.693, 0.250, 0.881)
Pd (0.807, 0.750, 0.720)
Pd (0.297, 0.750, 0.453)
Pd (0.797, 0.750, 0.047)
Pd (0.693, 0.250, 0.220)
Pd (0.203, 0.250, 0.953)
Pd (0.307, 0.750, 0.780)
Pb (0.595, 0.251, 0.050)
Pb (0.634, 0.249, 0.704)
Pb (0.095, 0.251, 0.450)
Pb (0.405, 0.749, 0.950)
Pb (0.366, 0.751, 0.296)
Pb (0.866, 0.751, 0.204)
Pb (0.134, 0.249, 0.796)
Pb (0.905, 0.749, 0.550)
Ag (0.090, 0.251, 0.118)
Ag (0.410, 0.749, 0.618)
Ag (0.590, 0.251, 0.382)
Ag (0.910, 0.749, 0.882)

Results
calculated density = 11.97 Mg/m³
energy relative to the elements = -0.173 eV/atom
total magnetization = 0.00 μB per cell
relative energy among the computed polymorphs = 0.00 eV per formula unit

Density functional theory data (PBE) for a relaxed CuSnOsC crystal.

Cell: 3.354 3.346 6.432 Å, 89.98 88.44 60.08°
Fractional positions:
C (0.867, 0.799, 0.705)
Sn (0.565, 0.450, 0.306)
Cu (0.918, 0.774, 0.007)
Os (0.205, 0.130, 0.648)

Results
calculated density = 10.21 Mg/m³
energy relative to the elements = 0.448 eV/atom
total magnetization = 0.00 μB per cell
relative energy among the computed polymorphs = 0.21 eV per formula unit

Density functional theory data (PBE) for a relaxed Ho3C2Cl2 crystal.

Cell: 3.544 6.241 7.069 Å, 99.46 90.02 106.64°
Fractional positions:
Cl (0.873, 0.744, 0.621)
Cl (0.127, 0.256, 0.379)
Ho (0.000, 0.000, 0.000)
Ho (0.229, 0.457, 0.787)
Ho (0.771, 0.543, 0.213)
C (0.634, 0.268, 0.930)
C (0.366, 0.732, 0.070)

Results
calculated density = 6.64 Mg/m³
uncorrected energy = -6.05 eV/atom
total magnetization = 0.85 μB per cell

Density functional theory data (PBE) for a relaxed AlTlRh crystal.

Cell: 4.299 4.299 3.470 Å, 90.00 90.00 120.00°
Fractional positions:
Tl (0.667, 0.333, 0.667)
Al (0.000, 0.000, 0.166)
Rh (0.333, 0.667, 0.167)

Results
calculated density = 10.00 Mg/m³
energy relative to the elements = -0.088 eV/atom
total magnetization = 0.00 μB per cell
relative energy among the computed polymorphs = 0.45 eV per formula unit
~~~
Many of you will be surprised at the news that Sister Irene Sullivan died quietly and peacefully at Bethany on Sunday, May 26, 1974, about 3 P.M. Though she had been through more than one medical crisis over the past two years, we didn’t expect death on this particular day. In fact she had phoned the Sisters at the Cloister at noon to tell them that one of the priests was having difficulty breaking the host and she felt that they would want to know about it. Then she extended her greetings to all.
Misplaced data records =
┌──
This record from Alexandria describes KReMo after structural relaxation. The functional is GGA-PBEsol.

## Properties
- DFT formation energy (eV per atom) = 1.01
- DOS(E_F) (states/eV/atom) = 1.000

a b c (Å): 3.104 3.104 7.403
angles (deg): 102.10 102.10 90.00
Atoms (fractional coordinates):
Re (0.296, 0.296, 0.593)
Mo (0.710, 0.710, 0.421)
K (0.993, 0.993, 0.986)

* * * * *

PBEsol Bi3ClF, optimized geometry; uncorrected formation energy = 0.435 eV per atom; E_tot = -2.923 eV per atom; crystal system = cubic; space-group type = No. 221; magnetic moment = 0.00 μB per formula unit
1.0
5.392 0.000 0.000
0.000 5.392 0.000
0.000 0.000 5.392
F Bi Cl
1 3 1
direct
0.500 0.500 0.500
0.000 0.000 0.500
0.500 0.000 0.000
0.000 0.500 0.000
0.000 0.000 0.000

***

PBEsol InHg3, optimized geometry; formation energy = -2 meV per atom; E_tot = -1.173 eV per atom; crystal system = hexagonal; space-group type = No. 187; magnetic moment = 0.00 μB per formula unit
1.0
-1.667 2.168 -1.858
-0.941 -0.573 3.117
6.073 7.408 3.193
Hg In
3 1
direct
0.000 0.000 0.755
0.000 0.000 0.245
0.333 0.667 0.000
0.333 0.667 0.500

***

PBEsol LiPtCl3, optimized geometry; uncorrected formation energy = -0.637 eV per atom; E_tot = -3.628 eV per atom; crystal system = cubic; space-group type = No. 221; magnetic moment = 0.00 μB per formula unit
1.0
4.839 0.000 0.000
0.000 4.839 0.000
0.000 0.000 4.839
Pt Cl Li
1 3 1
direct
0.000 0.000 0.000
0.500 0.000 0.000
0.000 0.500 0.000
0.000 0.000 0.500
0.500 0.500 0.500

***

Q: Look up the magnetic moment of the second one.
A: 0.00 μB per formula unit

* * * * *

PBE with a Hubbard U Sr2TcMoO6, relaxed; crystal system = monoclinic; DFT total energy = -7.205 eV per atom; theoretical density = 5.85 g/cm3; total magnetization = 5.0 μB per formula unit; density of states at the Fermi level = 1.4 states/eV/f.u.
1.0
5.691 0.000 0.000
0.000 5.783 0.000
-5.664 0.000 8.029
Sr Tc Mo O
4 2 2 12
direct
0.243 0.031 0.250 Sr
0.243 0.469 0.750 Sr
0.757 0.531 0.250 Sr
0.757 0.969 0.750 Sr
0.500 0.000 0.000 Tc
0.500 0.500 0.500 Tc
0.000 0.000 0.500 Mo
0.000 0.500 0.000 Mo
0.182 0.207 0.966 O
0.182 0.293 0.466 O
0.253 0.717 0.966 O
0.253 0.783 0.466 O
0.318 0.021 0.751 O
0.318 0.479 0.251 O
0.682 0.521 0.749 O
0.682 0.979 0.249 O
0.747 0.217 0.534 O
0.747 0.283 0.034 O
0.818 0.707 0.534 O
0.818 0.793 0.034 O

* * * * *

A relaxed Sr5Ca4Ac2 crystal, computed with GGA-PBE.

Cell: 13.966 13.966 10.047 Å, 93.42 93.42 15.85°
Sites, in units of the cell vectors:
Sr 0.000 0.000 0.000
Sr 0.270 0.270 0.189
Sr 0.362 0.362 0.892
Sr 0.638 0.638 0.108
Sr 0.730 0.730 0.811
Ca 0.174 0.174 0.472
Ca 0.454 0.454 0.633
Ca 0.546 0.546 0.367
Ca 0.826 0.826 0.528
Ac 0.410 0.410 0.270
Ac 0.590 0.590 0.730

Computed properties:
calculated total energy = -23.011 eV per cell
mass density = 3.272 Mg/m³

***

A relaxed SrCaAc2 crystal, computed with GGA-PBE.

Cell: 6.377 6.377 6.377 Å, 60.00 60.00 60.00°
Sites, in units of the cell vectors:
Sr 0.000 0.000 0.000
Ca 0.500 0.500 0.500
└──
Sister Irene had reached her 50th year of Maryknoll dedication and had wanted so much to celebrate the actual anniversary of entrance, September 24th, with members of her immediate family but God had other plans for her. Happily, she was able to celebrate her Golden Anniversary quietly at Bethany with the other Jubilarians on April 27th. Her friends and benefactors with her brother, were able to join the gala celebration at the Center the following day.
How much she missed her Sisters at the Cloister, despite her beautiful spirit of surrender, can be guessed from a note she wrote to “everybody on the hilltop” after celebrating with them the Feast of St. Therese last fall:
“It is difficult to describe what yesterday (Oct. 1, 1973)meant to this absent Sister. Every minute was precious….I reached this point (in writing this note) when I called the Cloister to thank all for what they did to make my day such a happy one and Sister Madeline said she would do it for me. I thought later I would wind up this note and send it along but only after I tell you that I have accepted my residing at Bethany until God calls me home. It is not easy, but I believe it is God’s will for you and for me. I hope you will continue to keep me in your prayers.”
Sister Irene Sullivan was born on May 5, 1901, at Hull, Massachusetts and entered Maryknoll from Framingham, Massachusetts on September 24, 1924. She began her missionary career by working at the Field Afar Offices in 1925 and then was assigned two years later to be Mother Mary Joseph’s secretary. Then on October 4, 1932, two years after her final profession of vows, she entered the Cloister, as one of the “pioneers” of the group of ten Maryknoll Sisters whom Mother Mary Joseph and Bishop Dunne escorted to our hilltop. She states this understanding of her missionary vocation when in 1971 she wrote to Sister Barbara Hendricks,
“Thank you for my mission cross. I always wanted one and it is a great joy to have one though I shall never see the missions. But are not all our missions,my missions? Be assured that you and all our missions have top priority in the apostolate of suffering God has seen fit to give me”
As recently as April 15th, Sister Irene, wrote what was no doubt one of her last notes, saying in part,
“Thanksgiving and praises fill our hearts this Golden Jubilee for fifty precious years of consecrated service to Jesus and Mary in loving union with my two dearest friends(Sisters Callista Gillespie and Elvira Selgas) with whom I look forward to sharing this joy in heaven”
We hope and pray that after the travail of her almost fifty years of suffering, she has indeed gone to enjoy the peace that comes from total surrender.
The Mass of the Resurrection will be celebrated on Wednesday, May 29, 1974, at 12 noon at the Cloister with Father Leo, Sister’s brother as Celebrant and with her long time friend Father Frank Winslow, M.M. as homilist, followed by burial at our Cemetery.